Multimodal freight

The piece is interrupted by calculated crystals:
********
VASP calculation (GGA-PBE) on a relaxed structure of La2Tb2NdY6.

SG ... No. 65
M_tot ... 0.00 Bohr magnetons per cell
Energy relative to the elements ... 0.137 eV per atom
Total energy ... -5.5605 eV/atom

Cell and atoms, written as POSCAR:
```
La2Tb2NdY6
1.0
6.689 -0.617 -0.538
-3.843 5.510 -0.538
-1.854 -3.186 11.431
Tb Y Nd La
2 6 1 2
direct
0.870 0.130 0.000
0.130 0.870 0.000
0.544 0.843 0.194
0.157 0.456 0.806
0.843 0.544 0.194
0.709 0.709 0.708
0.456 0.157 0.806
0.291 0.291 0.292
0.000 0.000 0.500
0.712 0.288 0.500
0.288 0.712 0.500
```

=====

VASP calculation (GGA-PBE) on a relaxed structure of Ta2PCl.

SG ... No. 166
M_tot ... 0.00 Bohr magnetons per cell
Total energy ... -7.8208 eV/atom
Energy relative to the elements, uncorrected ... -0.32 eV/f.u.

Cell and atoms, written as POSCAR:
```
Ta2PCl
1.0
8.026 -0.042 -0.025
7.421 3.058 -0.025
7.421 1.449 2.693
Ta P Cl
2 1 1
direct
0.490 0.490 0.490
0.010 0.010 0.010
0.750 0.750 0.750
0.250 0.250 0.250
```

=====

VASP calculation (GGA-PBE) on a relaxed structure of YHo2Lu.

SG ... No. 166
M_tot ... 0.00 Bohr magnetons per cell
Energy relative to the elements ... 0.029 eV per atom
Total energy ... -5.0059 eV/atom

Cell and atoms, written as POSCAR:
```
YHo2Lu
1.0
3.524 0.000 0.000
1.762 3.052 0.000
1.762 1.017 11.463
Lu Ho Y
1 2 1
direct
0.000 0.000 0.000
0.251 0.251 0.247
0.749 0.749 0.753
0.500 0.500 0.500
```

=====

VASP calculation (GGA-PBE) on a relaxed structure of HgTePtN2.

SG ... No. 123
M_tot ... 3.61 Bohr magnetons per cell
Total energy ... -3.2467 eV/atom
Energy relative to the elements, uncorrected ... 9.90 eV/f.u.

Cell and atoms, written as POSCAR:
```
HgTePtN2
1.0
4.113 0.000 0.000
0.000 4.113 0.000
0.000 0.000 6.543
N Hg Te Pt
2 1 1 1
direct
0.500 0.000 0.000
0.000 0.500 0.000
0.000 0.000 0.000
0.000 0.000 0.500
0.500 0.500 0.500
```

=====

VASP calculation (GGA-PBE) on a relaxed structure of CoNiH.

SG ... No. 166
M_tot ... 3.62 Bohr magnetons per cell
Total energy ... -5.4128 eV/atom

Cell and atoms, written as POSCAR:
```
CoNiH
1.0
-2.259 -0.372 1.142
-0.089 -0.746 2.446
0.600 7.678 3.692
H Co Ni
2 2 2
direct
0.435 0.001 0.455
0.277 0.317 0.978
0.151 0.569 0.601
0.562 0.748 0.832
0.982 0.907 0.094
0.730 0.411 0.340
```

=====

VASP calculation (GGA-PBE) on a relaxed structure of Pm2InPd3.

SG ... No. 194
M_tot ... 0.00 Bohr magnetons per cell
Energy relative to the elements ... -0.685 eV per atom
Total energy ... -5.3218 eV/atom

Cell and atoms, written as POSCAR:
```
Pm2InPd3
1.0
-4.603 0.378 -0.503
1.918 -4.159 0.778
-1.402 2.040 14.363
Pm Pd In
4 6 2
direct
0.000 0.000 0.618
0.000 0.000 0.882
0.000 0.000 0.118
0.000 0.000 0.382
0.667 0.333 0.983
0.333 0.667 0.483
0.333 0.667 0.017
0.667 0.333 0.517
0.333 0.667 0.750
0.667 0.333 0.250
0.333 0.667 0.250
0.667 0.333 0.750
```
********


Every day large manufacturers, small businesses, and individuals are faced with the need to transport goods. Transport companies, considering the clients' requests, take into account the specifics of each journey, choosing the most effective delivery method. Very often, to achieve economic benefits can only be using different modes of transport. This method of delivery is called multimodal.

When organizing multimodal freight used rail, air, water and road transport. As a rule, delivery of different modes of transport can not do without cars. This is due to the need to transport goods to the railway station, airport or water port. In addition, often much more profitable part of the distance, for example, transport by sea, and the other part of the way is by rail, but in any case can not do without cars.

Multimodal freight must register the same document, which provides for delivery of selected modes of transport. It should be noted that the competent preparation of supporting documents is one of the most complex components of the multimodal transport. This duty is taken by the operators of the delivery, who are organizing a multimodal freight.

Someone pasted crystal structures at this point:
********
# 1
Computed, not measured: crystalline RbHN2 at its relaxed geometry at the PBE-GGA level of DFT.

Values from the calculation:
Crystal system: tetragonal
Final energy (eV per atom): -3.555
Size of the total moment (μB/f.u.): 0.0
Density (g/cm3): 4.067
SG: No. 141

Geometry as POSCAR:
```
RbHN2
1.0
5.116 0.000 0.000
0.000 5.116 0.000
0.000 0.000 7.144
Rb H N
4 4 8
direct
0.000 0.250 0.375
0.000 0.750 0.625
0.500 0.250 0.125
0.500 0.750 0.875
0.000 0.250 0.875
0.000 0.750 0.125
0.500 0.250 0.625
0.500 0.750 0.375
0.000 0.000 0.000
0.000 0.500 0.000
0.250 0.250 0.750
0.250 0.750 0.250
0.500 0.000 0.500
0.500 0.500 0.500
0.750 0.250 0.750
0.750 0.750 0.250
```

# 2
Computed, not measured: crystalline RbHN2 at its relaxed geometry at the PBE-GGA level of DFT.

Values from the calculation:
Crystal system: cubic
Final energy (eV per atom): -2.816
Size of the total moment (μB/f.u.): 6.0
Density (g/cm3): 2.128
SG: No. 225

Geometry as POSCAR:
```
RbHN2
1.0
7.097 0.000 0.000
0.000 7.097 0.000
0.000 0.000 7.097
Rb H N
4 4 8
direct
0.000 0.000 0.000
0.000 0.500 0.500
0.500 0.000 0.500
0.500 0.500 0.000
0.000 0.000 0.500
0.000 0.500 0.000
0.500 0.000 0.000
0.500 0.500 0.500
0.250 0.250 0.250
0.250 0.250 0.750
0.250 0.750 0.250
0.250 0.750 0.750
0.750 0.250 0.250
0.750 0.250 0.750
0.750 0.750 0.250
0.750 0.750 0.750
```

# 3
Computed, not measured: crystalline RbH6N3 at its relaxed geometry at the PBE-GGA level of DFT.

Values from the calculation:
Crystal system: monoclinic
Final energy (eV per atom): -4.548
Size of the total moment (μB/f.u.): 2.0
Density (g/cm3): 1.766
SG: No. 8

Geometry as POSCAR:
```
RbH6N3
1.0
3.477 -4.178 0.000
3.477 4.178 0.000
-0.246 0.000 4.323
Rb H N
1 6 3
direct
0.000 0.000 0.000
0.146 0.587 0.441
0.382 0.721 0.664
0.437 0.437 0.062
0.587 0.146 0.441
0.617 0.617 0.310
0.721 0.382 0.664
0.258 0.760 0.492
0.585 0.585 0.074
0.760 0.258 0.492
```

# 4
Computed, not measured: crystalline Rb3H8N2 at its relaxed geometry at the PBE-GGA level of DFT.

Values from the calculation:
Crystal system: trigonal
Final energy (eV per atom): -3.565
Size of the total moment (μB/f.u.): 0.0
Density (g/cm3): 1.195
SG: No. 166

Geometry as POSCAR:
```
Rb3H8N2
1.0
3.839 2.216 7.963
-3.839 2.216 7.963
0.000 -4.432 7.963
Rb H N
3 8 2
direct
0.000 0.000 0.000
0.208 0.208 0.208
0.792 0.792 0.792
0.351 0.351 0.575
0.351 0.575 0.351
0.367 0.367 0.367
0.425 0.649 0.649
0.575 0.351 0.351
0.633 0.633 0.633
0.649 0.425 0.649
0.649 0.649 0.425
0.411 0.411 0.411
0.589 0.589 0.589
```

# 5
Computed, not measured: crystalline RbH7N2 at its relaxed geometry at the PBE-GGA level of DFT.

Values from the calculation:
Crystal system: orthorhombic
Final energy (eV per atom): -3.941
Size of the total moment (μB/f.u.): 0.0
Density (g/cm3): 1.753
SG: No. 65

Geometry as POSCAR:
```
RbH7N2
1.0
2.222 -5.994 0.000
2.222 5.994 0.000
0.000 0.000 4.286
Rb H N
1 7 2
direct
0.000 0.000 0.000
0.159 0.476 0.500
0.364 0.636 0.000
0.476 0.159 0.500
0.500 0.500 0.500
0.524 0.841 0.500
********

To ensure the reliability of the delivery process the multimodal freight must be seen as a one way of transportation, where there is only one company responsible for a carriage. Carrier not only takes responsibility for arranging transportation, but also for the conduct of all related processes, including loading and unloading operations at the start and end points of the route, and loading operations during the transition from one vehicle to another. Thus, often in the multimodal transportation are used containers that not only facilitate the handling, but also ensure the safety of the cargo.

Multimodal freight is very popular way of delivery. Namely multimodal freights are flexible with their options of route selection. Using different methods of delivery can significantly reduce time and cost of transportation. Each segment of the path using the various modes of transport carefully worked out by managers in logistics. Each mixed transportation uses an individual approach.

Multimodal freights make it possible to develop a transport scheme that is suitable specifically for you. We will be able to transport any cargo absolutely anywhere in the world, performing with the requirements for the timing and financial costs.

To implement multimodal freight quickly and accurately is allowed for VTO-ARCUS OU by long-term partnerships with major aviation, marine, rail and truck carriers. Our company offers the most advantageous combination of different modes of transport, as well as a full range of services for the implementation of international freight (assistance in the design of the required documents, insurance, freight, etc.).